Tattoo removal is now more effective than ever before. It’s normal to feel excited and anxious about your first treatment.  It can help to be aware of some things not to do before your laser  tattoo removal treatments.

Do not expose your tattoo to the sun

The most important thing we can tell you is the keep your tattoo out of the sun, preferably for the duration of your treatments.  It might not seem like a big deal but exposure to ultraviolet radiation from the sun can increase the natural production of melanin and vitamin D. Melanin soaks up radiation and causes your skin to tan in the sun. This can also affect the way that your body responds to the light waves that are used lasers.

**Data records, as found in the file:**
┌──
1.
The following is a quantum chemistry calculation of a 8-piece molecular cluster, C32H48O22 overall, from OMol25.

As for the relative energy (zero: lowest compared OMol25 entry of this formula, charge and spin): 0.0 kcal per mole. The value obtained for the molecular weight is 784.7 g mol⁻¹. For the energy, the calculation gives -2903.52986 hartree. As for the SMILES: C[C@H]1COC(=O)O1.C[C@H]1COC(=O)O1.C[C@H]1COC(=O)O1.C[C@H]1COC(=O)O1.C[C@H]1COC(=O)O1.C[C@H]1COC(=O)O1.O=C1CCCO1.O=C1CCCO1. The value obtained for the HOMO-LUMO gap is 9.542 eV. The strongest force on any atom comes out at 3.69 eV/A.

ORCA input file:
```
! wB97M-V def2-TZVPD RIJCOSX def2/J DEFGRID3
* xyz 0 1
C -8.451 9.087 22.863
C -9.390 9.465 21.756
C -10.290 10.657 21.998
O -9.573 11.796 21.386
C -8.674 11.269 20.536
O -7.999 11.889 19.716
O -8.635 9.961 20.581
H -8.844 8.782 23.819
H -7.850 9.964 23.144
H -7.834 8.278 22.538
H -9.865 8.544 21.396
H -10.333 10.875 23.070
H -11.349 10.597 21.687
C -10.488 3.600 15.851
C -10.801 2.902 17.176
C -11.984 1.886 17.018
O -11.584 0.788 17.923
C -10.293 0.919 18.171
O -9.639 0.092 18.757
O -9.745 2.071 17.581
H -10.175 2.796 15.210
H -9.761 4.382 15.891
H -11.396 3.963 15.434
H -10.996 3.610 18.005
H -11.948 1.456 16.018
H -12.934 2.228 17.393
C -13.406 5.175 21.277
C -13.211 5.837 22.676
C -11.741 5.797 23.156
O -11.445 7.129 23.381
C -12.539 7.921 23.240
O -12.533 9.090 23.388
O -13.612 7.188 22.877
H -14.436 5.311 20.983
H -13.208 4.100 21.355
H -12.692 5.530 20.520
H -13.772 5.206 23.351
H -11.025 5.419 22.373
H -11.681 5.196 24.062
C -5.695 8.320 19.519
C -6.959 7.552 19.562
C -8.027 7.973 18.533
O -8.027 6.914 17.544
C -7.309 5.875 18.004
O -7.207 4.830 17.475
O -6.720 6.155 19.173
H -5.078 8.010 20.381
H -5.874 9.362 19.780
H -5.132 8.236 18.576
H -7.315 7.527 20.589
H -7.863 8.912 18.026
H -8.997 8.107 19.035
C -8.043 2.336 25.464
C -8.426 1.663 24.130
C -9.403 0.477 24.328
O -10.679 1.036 24.012
C -10.502 2.212 23.390
O -11.418 2.903 22.996
O -9.205 2.593 23.339
H -7.398 3.182 25.326
H -7.737 1.623 26.217
H -9.040 2.728 25.699
H -7.602 1.269 23.534
H -9.397 0.235 25.399
H -9.231 -0.424 23.730
C -5.163 -0.098 24.808
C -4.106 0.993 24.420
C -3.017 0.500 23.502
O -2.863 1.510 22.509
C -4.027 2.276 22.557
O -4.292 3.092 21.726
O -4.717 2.046 23.682
H -5.787 -0.513 24.022
H -5.778 0.314 25.644
H -4.628 -0.940 25.219
H -3.671 1.536 25.311
H -3.254 -0.347 22.890
H -2.062 0.272 23.969
O -9.724 6.107 20.150
C -8.910 5.357 20.695
C -8.619 3.910 20.299
C -7.303 3.583 20.936
C -7.166 4.698 22.023
O -8.162 5.699 21.707
H -9.512 3.300 20.580
H -8.562 3.828 19.229
H -7.238 2.572 21.267
H -6.461 3.790 20.249
H -7.361 4.337 23.020
H -6.167 5.036 21.919
O -5.977 -0.496 15.168
C -5.936 0.082 16.205
C -7.041 0.932 16.853
C -6.316 1.631 17.997
C -5.177 0.669 18.355
O -4.883 -0.012 17.107
H -7.451 1.623 16.106
H -7.830 0.265 17.207
H -5.983 2.610 17.644
H -6.908 1.890 18.867
H -4.253 1.185 18.604
H -5.531 -0.137 18.999
*
```
└──

Staying away from sunlight and UV radiation will help to ensure that your skin is as protective, receptive, and durable as it needs to be for a successful treatment.

Do not get a spray tan or use fake tan lotions

While fake tan obviously doesn’t come with the same UV exposure as actual sunlight, it can affect your tattoo removal, as you could be coming back for multiple sessions when actually only a few are required. If your body has absorbed products containing toxins, it could mean that you have to spend more time, and money than you need to on tattoo removal.

Some fake tans contain products that can have an adverse reaction with laser treatment and create pigmentation in the skin.

Do not come straight from the tattoo studio

Got a tattoo today and don’t like it? Don’t come a rushing in! Exposing your skin to laser removal treatments too soon after tattoo placement can lead to scarring and ink retention. The reason for this is that tattoos are created through a long-term process of ink entrapment and dermis healing. We recommend you wait at least 8 weeks or preferably 3 months to start with laser treatments.

Waiting three months will ensure the ink has settled, and the immune system is back on track.

Do not forget to mention medications you are taking

Some medications may interact negatively with your laser session. Informing your clinician beforehand of the various medications you are taking will help them to decide whether it is safe for you to proceed with laser tattoo removal.

Do not attempt forms of non-laser tattoo removal

Finally, do not try to “speed up” the removal process by turning to other forms of tattoo removal. Most of these options are dangerous and can lead to permanent scarring such as; Dermabrasion, Salabrasion, Acid  and Tattoo removal creams – Finally, people continue to waste their money on the prospect of a pain-free cream that will remove tattoos for them. Though some of these creams can fade a tattoo – they will not be able to access the deeper layers of skin where the ink is stored.

Interested in receiving a quote to start your tattoo removal journey, click here!